Working together with Kansai University, CoreCollaborative International (CCI) designed and delivered an innovative train-the-trainer program that is being used to engage instructors and learners around the world in thinking about diversity in multiple professional contexts. The Diversity in the Workplace seminar was developed through the collective efforts of three organizations—Kansai, based in Japan; Crossing Borders Education, located in the United Kingdom; and CCI, in the United States. The diverse perspectives brought by this core international team illustrate how working across differences of culture, experience, expertise, background, and organization type can inspire innovative, high-quality results.
This project was initiated by Kansai’s Institute for Innovative Global Education (IIGE). With funding from Japan’s Ministry of Education, Culture, Sports, Science and Technology, IIGE serves as the country’s platform for Collaborative Online International Learning (COIL) initiatives. Using widely available technology, IIGE initiatives build and strengthen ties between Japanese and higher education institutions around the world. IIGE programs promote exchange and strengthen global relations, focusing in particular on the US and Japan.
The Diversity in the Workplace seminar arose out of the recognition that the diversification of national and international work environments in today’s world has precipitated an urgent need for cross-cultural communication skills development. This workforce development need can be addressed, IIGE realized, through the creative application of pedagogy in COIL, also known as virtual exchange. IIGE reached out to CCI, as a leader in the design and evaluation of cross-cultural training and virtual exchange experiences. In response, CCI developed a dynamic short course designed to bring together learners from around the globe in technologically mediated environments that simulate the workplace. These scaffolded environments give learners a preview into the 21st-century workplace, as well as a context in which to practice skills they need to work alongside peers from a wide variety of backgrounds.
Recent research demonstrates that simply interacting with cross-cultural differences does not facilitate skill-building for most learners; rather, intentional instruction is required to foster inclusive dispositions and behaviors. The Diversity in the Workplace seminar focuses on what is needed to engage meaningfully and successfully with people from a wide array of backgrounds. The course materials – which combine multi-media asynchronous learning with synchronous activities that bring learners together with intention and purpose – target learners’ understanding of identities, and their implications for communicating across cultures. In the course, learners are asked to imagine the workplace in which they want to work in the future. Where will it be? What does it look like? Do co-workers have similar backgrounds? How will the learner get to know them? Perhaps the learners already work in an ideal place? What makes it so? The course guides students through these questions, helping them develop and practice the behaviors they need to be successful professionals.
{"formula": "AsAuSe2S", "functional": "PBE", "state": "optimized geometry", "crystal_system": "tetragonal", "formation_energy_uncorrected_kcal_per_mol_atoms": 18.3, "lattice": [[4.804, 0.000, 0.000], [0.000, 4.804, 0.000], [0.000, 0.000, 4.891]], "species": ["S", "Se", "As", "Se", "Au"], "fractional_positions": [[0.000, 0.000, 0.000], [0.000, 0.500, 0.000], [0.000, 0.000, 0.500], [0.500, 0.000, 0.000], [0.500, 0.500, 0.500]]}


{"formula": "AsAuSe2S", "functional": "PBE", "state": "optimized geometry", "crystal_system": "tetragonal", "formation_energy_uncorrected_kcal_per_mol_atoms": 23.7, "lattice": [[-2.729, 3.141, -2.894], [-3.406, 0.472, 3.724], [2.546, 3.902, 1.834]], "species": ["Au", "Se", "As", "Se", "S"], "fractional_positions": [[0.000, 0.000, 0.000], [0.000, 0.500, 0.000], [0.000, 0.000, 0.500], [0.500, 0.000, 0.000], [0.500, 0.500, 0.500]]}


{"formula": "SiAsAu2S", "functional": "PBE", "state": "optimized geometry", "crystal_system": "tetragonal", "formation_energy_uncorrected_kcal_per_mol_atoms": 14.1, "lattice": [[4.834, 0.000, 0.000], [0.000, 4.527, 0.000], [0.000, 0.000, 4.834]], "species": ["Au", "S", "Au", "As", "Si"], "fractional_positions": [[0.500, 0.000, 0.000], [0.000, 0.500, 0.000], [0.000, 0.000, 0.500], [0.500, 0.500, 0.500], [0.000, 0.000, 0.000]]}


{"formula": "Sm4AsAuS2", "functional": "PBE", "state": "optimized geometry", "crystal_system": "monoclinic", "formation_energy_uncorrected_kcal_per_mol_atoms": -35.9, "lattice": [[-3.268, -1.239, 2.121], [4.285, -3.912, 4.317], [2.030, 4.044, 5.490]], "species": ["Sm", "Au", "S", "Sm", "Sm", "Sm", "S", "As"], "fractional_positions": [[0.000, 0.241, 0.246], [0.000, 0.500, 0.500], [0.000, 0.000, 0.000], [0.500, 0.766, 0.240], [0.500, 0.234, 0.760], [0.000, 0.759, 0.754], [0.500, 0.000, 0.500], [0.500, 0.500, 0.000]]}


{"formula": "Tb4AsAuS2", "functional": "PBE", "state": "optimized geometry", "crystal_system": "monoclinic", "formation_energy_uncorrected_kcal_per_mol_atoms": -35.9, "lattice": [[4.002, 0.000, 0.000], [0.000, 7.124, -0.220], [0.000, 2.428, 6.525]], "species": ["As", "Tb", "Tb", "S", "Tb", "Tb", "Au", "S"], "fractional_positions": [[0.500, 0.500, 0.000], [0.500, 0.765, 0.242], [0.000, 0.241, 0.247], [0.500, 0.000, 0.500], [0.000, 0.759, 0.753], [0.500, 0.235, 0.758], [0.000, 0.500, 0.500], [0.000, 0.000, 0.000]]}


{"formula": "TlAsAu2S4", "functional": "PBE", "state": "optimized geometry", "crystal_system": "orthorhombic", "formation_energy_uncorrected_kcal_per_mol_atoms": -2.7, "lattice": [[-2.268, -2.560, 5.281], [-4.845, -4.572, -0.550], [3.087, -5.395, 2.459]], "species": ["As", "S", "S", "Au", "S", "S", "Tl", "Au"], "fractional_positions": [[0.000, 0.500, 0.500], [0.034, 0.818, 0.506], [0.357, 0.182, 0.494], [0.500, 0.325, 0.675], [0.643, 0.506, 0.818], [0.966, 0.494, 0.182], [0.000, 0.000, 0.000], [0.500, 0.675, 0.325]]}
**Back to the piece**
IIGE’s research initiatives in the field of virtual exchange have helped to identify how to maximize the success of COIL instruction for students. One finding from IIGE’s large-scale collaboration with Japanese and international universities is that instructors need more support in ready-to-use materials that facilitate cross-cultural skill development in a virtual space. The Diversity in the Workplace seminar helps to address this need. The materials were designed to be used by instructors who may or may not have already embedded virtual exchange into their courses. Instructors are invited to organize the topics and structure in a way that suits their own content; templates are also included for two synchronous sessions and an optional overarching collaborative course project. Assessment rubrics and tips for how to support learners are embedded in each activity, along with links to other resources that can be used to enrich the learning experience. Alongside these innovative materials, CCI developed and launched a follow-on train-the-trainer workshop, which in its first iteration introduced the course to 18 instructors, and demonstrated how resources could be applied in different COIL settings.
'''
(1)
First-principles (PBE) data for a geometry-optimized HgPbBr structure, as listed in Alexandria.

Structure (POSCAR):
```
HgPbBr
1.0
4.335 0.000 -0.019
0.000 4.499 0.000
-2.150 0.000 5.522
Br Hg Pb
1 1 1
Direct
0.308 0.000 0.303
0.565 0.500 0.816
0.048 0.000 0.781
```

Values from the calculation:
**Relative energy among the computed polymorphs**: 5 meV/atom
**Formation energy without anion corrections**: -0.3170 eV/atom
**Space-group type**: Amm2 (38)
**Calculated density**: 7.5 g/cm³

***

(2)
First-principles (PBE) data for a geometry-optimized HgPbBr structure, as listed in Alexandria.

Structure (POSCAR):
```
HgPbBr
1.0
6.911 0.000 0.000
0.000 7.879 0.000
0.000 0.000 7.192
Br Hg Pb
4 4 4
Direct
0.095 0.500 0.750
0.595 0.000 0.250
0.405 0.500 0.250
0.905 0.000 0.750
0.000 0.750 0.176
0.500 0.250 0.676
0.500 0.750 0.824
0.000 0.250 0.324
0.250 0.047 0.000
0.250 0.953 0.500
0.750 0.547 0.500
0.750 0.453 0.000
```

Values from the calculation:
**Relative energy among the computed polymorphs**: 9 meV/atom
**Formation energy without anion corrections**: -0.3121 eV/atom
**Space-group type**: I2_12_12_1 (24)
**Calculated density**: 8.3 g/cm³

***

(3)
First-principles (PBE) data for a geometry-optimized HgPbBr structure, as listed in Alexandria.

Structure (POSCAR):
```
HgPbBr
1.0
-5.506 -0.894 1.040
1.452 -4.071 4.307
2.574 5.568 2.868
Pb Hg Br
2 2 2
Direct
0.190 0.286 0.503
0.945 0.945 0.013
0.623 0.097 0.368
0.684 0.633 0.490
0.349 0.945 0.821
0.967 0.454 0.053
```

Values from the calculation:
**Relative energy among the computed polymorphs**: 0 meV/atom
**Formation energy without anion corrections**: -0.3216 eV/atom
**Space-group type**: P1 (1)
**Calculated density**: 7.7 g/cm³

***

(4)
First-principles (PBE) data for a geometry-optimized HgPbBr6 structure, as listed in Alexandria.

Structure (POSCAR):
```
HgPbBr6
1.0
7.069 0.006 0.057
3.524 6.049 0.045
3.566 2.017 6.348
Br Hg Pb
6 1 1
Direct
0.914 0.582 0.249
0.259 0.910 0.251
0.741 0.090 0.749
0.416 0.743 0.751
0.584 0.257 0.249
0.086 0.418 0.751
0.000 0.000 0.000
0.500 0.500 0.500
```

Values from the calculation:
**Formation energy without anion corrections**: -0.3408 eV/atom
**Space-group type**: P-1 (2)
**Calculated density**: 5.5 g/cm³

***

(5)
First-principles (PBE) data for a geometry-optimized HgPbBr structure, as listed in Alexandria.

Structure (POSCAR):
```
HgPbBr
1.0
-4.036 -5.267 -4.532
-1.245 -3.813 -6.528
0.611 -3.446 1.281
Hg Br Pb
1 1 1
Direct
0.335 0.335 0.665
0.006 0.006 0.994
0.659 0.659 0.341
```

Values from the calculation:
**Relative energy among the computed polymorphs**: 80 meV/atom
**Formation energy without anion corrections**: -0.2413 eV/atom
**Space-group type**: Fmm2 (42)
**Calculated density**: 8.7 g/cm³

***

(6)
First-principles (PBE) data for a geometry-optimized HgPbBr structure, as listed in Alexandria.

Structure (POSCAR):
```
HgPbBr
1.0
-0.684 -4.801 2.195
4.207 -2.746 1.759
0.746 -0.667 5.228
Hg Pb Br
1 1 1
Direct
0.500 0.500 0.500
'''
The data records stop here:
The program’s five self-directed module topics are presented as videos, readings, and opportunities for both reflection and practice. Throughout, learners have opportunities to collaborate with peers and share their experiences and expertise.
Learning outcomes include:
== Next to the page, the page also holds calculated crystals ==
<<<
1.
A plane-wave DFT calculation with PBE-GGA was carried out for a relaxed ZrCo2Te crystal.

The density of states at the Fermi level is 4.2 states/eV/f.u. Its formation energy without anion corrections is -0.082 eV per atom. For the total energy, the calculation gives -26.23 eV for the cell shown.

Lattice parameters (Å, degrees): 3.3584 3.3896 5.7738 90.00 90.00 90.00
With the nearest neighbours (Å) after each atom.
Space group Pmmm (No. 47)
Unique sites:
Zr1 0.0000 0.0000 0.0000 x1  8 Co 2.76, 2 Te 2.89
Co1 0.5000 0.5000 0.2415 x2  4 Zr 2.76, 2 Co 2.79-2.98, 4 Te 2.81
Te1 0.0000 0.0000 0.5000 x1  8 Co 2.81, 2 Zr 2.89



2.
A plane-wave DFT calculation with PBE-GGA was carried out for a relaxed PrGdYLu crystal.

The density of states at the Fermi level is 6.8 states/eV/f.u. The calculation puts the energy of formation from the pure elements at 8.9 kJ/mol of atoms. For the total energy, the calculation gives -117.91 eV for the cell shown.

Lattice parameters (Å, degrees): 8.0705 8.0705 8.0705 90.00 90.00 90.00
With the nearest neighbours (Å) after each atom.
Space group F-43m (No. 216)
Unique sites:
Pr1 0.0000 0.0000 0.0000 x4  4 Lu 3.49, 4 Y 3.49
Gd1 0.0000 0.0000 0.5000 x4  4 Y 3.49, 4 Lu 3.49
Y1 0.2500 0.2500 0.2500 x4  4 Gd 3.49, 4 Pr 3.49
Lu1 0.2500 0.2500 0.7500 x4  4 Gd 3.49, 4 Pr 3.49



3.
A plane-wave DFT calculation with PBE-GGA was carried out for a relaxed Ba2Al crystal.

The density of states at the Fermi level is 3.6 states/eV/f.u. The calculation puts the energy of formation from the pure elements at 6.9 kJ/mol of atoms. For the total energy, the calculation gives -29.49 eV for the cell shown.

Lattice parameters (Å, degrees): 8.5177 8.5177 8.5177 90.00 90.00 90.00
With the nearest neighbours (Å) after each atom.
Space group Pa-3 (No. 205)
Unique sites:
Ba1 0.1711 0.1711 0.1711 x8  3 Al 3.48
Al1 0.0000 0.0000 0.5000 x4  6 Ba 3.48



4.
A plane-wave DFT calculation with PBE-GGA was carried out for a relaxed La6Tb5Ho crystal.

The density of states at the Fermi level is 18.8 states/eV/f.u. The calculation puts the energy of formation from the pure elements at 2.2 kJ/mol of atoms. For the total energy, the calculation gives -57.02 eV for the cell shown. The offset from the most stable computed form comes out at 0.0043 eV per atom.

Lattice parameters (Å, degrees): 6.2377 7.4084 9.6723 112.50 92.04 90.04
With the nearest neighbours (Å) after each atom.
Space group P-1 (No. 2)
Unique sites:
La1 0.0001 0.2496 0.0000 x2  6 Tb 3.62-3.63, 2 Ho 3.63, 4 La 3.70-3.71
La2 0.3340 0.0834 0.6671 x2  1 Ho 3.62, 7 Tb 3.62-3.63, 4 La 3.70-3.71
La3 0.3341 0.5837 0.6671 x2  1 Ho 3.62, 7 Tb 3.62-3.63, 4 La 3.70-3.71
Tb1 0.1665 0.1665 0.3333 x2  8 La 3.62-3.63, 3 Tb 3.70-3.71, 1 Ho 3.70
Tb2 0.1660 0.6667 0.3334 x2  8 La 3.63, 4 Tb 3.70-3.71
Tb3 0.5000 0.5000 0.0000 x1  8 La 3.62-3.63, 2 Tb 3.70, 2 Ho 3.70
Ho1 0.5000 0.0000 0.0000 x1  8 La 3.62-3.63, 4 Tb 3.70

----------

Compound: Tb6Nd2SmSc3
Source: Alexandria via LeMat-Bulk
Functional: PBE-GGA
>>>
- Learners develop openness to diverse people and perspectives
- Learners gain awareness of cultural differences that impact experiences and interactions, and
- Learners build a toolbox of specific communication strategies that can help them engage productively and ethically across differences.
In a follow-up survey of those who took part in the first Diversity in the Workplace train-the-trainer seminar, respondents – employed by undergraduate universities, graduate universities, and non-profit organizations – reported a high level of satisfaction. Because they participated in the course from different countries, they especially valued the opportunities for group work. One participant expressed an immediate impact on their professional life by noting that the group project had allowed them to “cooperate with friends from different countries. Now … the lab I [have] join[ed] has many students from India, I can know how to get along with them.” Another found the experience valuable on an even more local and personal level. They wrote that the learning experience was “Generally for interacting with people, not only … those from other countries, but also even in our respective small communities.” The seminar instructors’ approach to collaborative learning – in which participants repeatedly shared their perspectives both in the large group and in breakout sessions – was praised as it allowed participants to gain new perspectives on the topics at hand, and demonstrated in real time the value of collaboration across differences.
CoreCollaborative International has deep expertise in the design and evaluation of cross-cultural skill development, with particular strength in the area of virtual learning. The CCI team also believes deeply in the value of train-the-trainer modes that offer instructors robust, ready-to-use material with built-in adaptability and instructional guidance for multiple situations. This kind of resource eases the burden of instructors even as it stimulates their creativity, allowing them to build a curriculum that is deeply relevant to their own contexts.
To learn more, contact the CoreCollaborative team. Find out how CCI can assist your institution or organization in delivering targeted instructional material to learners and trainers alike, whether through virtual exchange or other modalities.